== Contents ==
- - -
{
  "formula": "C28H21Br2N3O4S5Ta",
  "method": "ωB97M-V with the def2-TZVPD basis set",
  "total_charge": -1,
  "orbital_gap_ev": 5.403,
  "de_lowest_kj_mol": 207.03,
  "e_lumo_ev": 1.187,
  "elements": ["Ta", "S", "S", "S", "S", "C", "C", "C", "C", "C", "C", "N", "N", "C", "C", "C", "C", "C", "C", "H", "H", "H", "H", "H", "H", "H", "H", "H", "Br", "C", "C", "C", "Br", "C", "C", "C", "C", "N", "C", "C", "O", "H", "H", "H", "H", "C", "C", "C", "C", "C", "C", "H", "H", "H", "H", "H", "C", "S", "O", "O", "O", "H", "H", "H"],
  "xyz": [[0.136179, -0.096218, -0.239266], [1.088763, 4.191177, 1.369978], [2.380180, 3.539925, -0.093543], [1.283416, 3.268721, -1.803387], [-0.372153, 2.116151, -1.346152], [-3.053940, 3.186409, 3.197373], [-4.102741, 2.574988, 2.511436], [-3.832122, 1.676736, 1.495896], [-2.509624, 1.385500, 1.183245], [-1.462287, 1.962680, 1.890357], [-1.738424, 2.888781, 2.895306], [-2.116992, 0.507804, 0.138846], [-3.034740, 0.120122, -0.603318], [-2.609910, -0.703303, -1.652091], [-3.624520, -1.244833, -2.441719], [-3.283039, -2.110208, -3.460445], [-1.938558, -2.417209, -3.649774], [-0.949571, -1.849120, -2.857369], [-1.240873, -0.937790, -1.838314], [-3.270818, 3.901674, 3.980932], [-5.128218, 2.809547, 2.764492], [-4.624819, 1.201811, 0.936272], [0.406222, 2.512728, 1.506242], [-0.913279, 3.350680, 3.420779], [-4.652378, -0.980817, -2.227578], [-4.044150, -2.552575, -4.090303], [-1.656172, -3.114630, -4.430310], [0.078112, -2.131730, -3.043081], [1.526637, -4.627022, -0.451615], [0.695501, -4.088525, 1.144543], [0.704800, -4.957189, 2.252320], [0.111856, -4.592862, 3.420872], [0.154909, -5.807152, 4.881079], [-0.523945, -3.333629, 3.561995], [-1.145972, -2.865660, 4.739086], [-1.705979, -1.621700, 4.750280], [-1.647210, -0.831538, 3.585642], [-1.080567, -1.230841, 2.475742], [-0.525944, -2.466488, 2.447280], [0.097891, -2.857346, 1.216436], [0.058944, -2.018090, 0.199568], [1.193179, -5.916721, 2.160678], [-1.167557, -3.496860, 5.616898], [-2.189248, -1.231867, 5.635754], [-2.080694, 0.163100, 3.583176], [3.414901, -0.988978, -3.892654], [3.577128, -1.458465, -2.599228], [2.646565, -1.138832, -1.616689], [1.508226, -0.373848, -1.899962], [1.376182, 0.091931, -3.211227], [2.310370, -0.202166, -4.191958], [4.147850, -1.219647, -4.657002], [4.439459, -2.061951, -2.339802], [2.829027, -1.501446, -0.611880], [0.519567, 0.702028, -3.469155], [2.176668, 0.188807, -5.194060], [2.938415, 1.143558, 2.787891], [1.956883, -0.153797, 2.003189], [1.928662, 0.486799, 0.530682], [2.815835, -1.353270, 1.983411], [-0.213322, 1.591383, 1.580510], [3.797710, 0.634538, 3.219833], [2.343095, 1.637979, 3.553108], [3.222034, 1.864865, 2.025153]],
- - -

== Exercise ==
Now duplicate all of the entries further up character by character.

== Result ==
{
  "formula": "C28H21Br2N3O4S5Ta",
  "method": "ωB97M-V with the def2-TZVPD basis set",
  "total_charge": -1,
  "orbital_gap_ev": 5.403,
  "de_lowest_kj_mol": 207.03,
  "e_lumo_ev": 1.187,
  "elements": ["Ta", "S", "S", "S", "S", "C", "C", "C", "C", "C", "C", "N", "N", "C", "C", "C", "C", "C", "C", "H", "H", "H", "H", "H", "H", "H", "H", "H", "Br", "C", "C", "C", "Br", "C", "C", "C", "C", "N", "C", "C", "O", "H", "H", "H", "H", "C", "C", "C", "C", "C", "C", "H", "H", "H", "H", "H", "C", "S", "O", "O", "O", "H", "H", "H"],
  "xyz": [[0.136179, -0.096218, -0.239266], [1.088763, 4.191177, 1.369978], [2.380180, 3.539925, -0.093543], [1.283416, 3.268721, -1.803387], [-0.372153, 2.116151, -1.346152], [-3.053940, 3.186409, 3.197373], [-4.102741, 2.574988, 2.511436], [-3.832122, 1.676736, 1.495896], [-2.509624, 1.385500, 1.183245], [-1.462287, 1.962680, 1.890357], [-1.738424, 2.888781, 2.895306], [-2.116992, 0.507804, 0.138846], [-3.034740, 0.120122, -0.603318], [-2.609910, -0.703303, -1.652091], [-3.624520, -1.244833, -2.441719], [-3.283039, -2.110208, -3.460445], [-1.938558, -2.417209, -3.649774], [-0.949571, -1.849120, -2.857369], [-1.240873, -0.937790, -1.838314], [-3.270818, 3.901674, 3.980932], [-5.128218, 2.809547, 2.764492], [-4.624819, 1.201811, 0.936272], [0.406222, 2.512728, 1.506242], [-0.913279, 3.350680, 3.420779], [-4.652378, -0.980817, -2.227578], [-4.044150, -2.552575, -4.090303], [-1.656172, -3.114630, -4.430310], [0.078112, -2.131730, -3.043081], [1.526637, -4.627022, -0.451615], [0.695501, -4.088525, 1.144543], [0.704800, -4.957189, 2.252320], [0.111856, -4.592862, 3.420872], [0.154909, -5.807152, 4.881079], [-0.523945, -3.333629, 3.561995], [-1.145972, -2.865660, 4.739086], [-1.705979, -1.621700, 4.750280], [-1.647210, -0.831538, 3.585642], [-1.080567, -1.230841, 2.475742], [-0.525944, -2.466488, 2.447280], [0.097891, -2.857346, 1.216436], [0.058944, -2.018090, 0.199568], [1.193179, -5.916721, 2.160678], [-1.167557, -3.496860, 5.616898], [-2.189248, -1.231867, 5.635754], [-2.080694, 0.163100, 3.583176], [3.414901, -0.988978, -3.892654], [3.577128, -1.458465, -2.599228], [2.646565, -1.138832, -1.616689], [1.508226, -0.373848, -1.899962], [1.376182, 0.091931, -3.211227], [2.310370, -0.202166, -4.191958], [4.147850, -1.219647, -4.657002], [4.439459, -2.061951, -2.339802], [2.829027, -1.501446, -0.611880], [0.519567, 0.702028, -3.469155], [2.176668, 0.188807, -5.194060], [2.938415, 1.143558, 2.787891], [1.956883, -0.153797, 2.003189], [1.928662, 0.486799, 0.530682], [2.815835, -1.353270, 1.983411], [-0.213322, 1.591383, 1.580510], [3.797710, 0.634538, 3.219833], [2.343095, 1.637979, 3.553108], [3.222034, 1.864865, 2.025153]],